**Activity**
Next, set down only the last part of the listing further below, starting with the line that has "0.0852".

**Contents**
********
A relaxed Na5Y2Ta2Si3P3O24 crystal, computed with PBE.

* uncorrected energy: -296.7 eV/f.u.
* size of the total moment: 0.00 μB per formula unit
* DFT formation energy: -3.041 eV/atom

abc: 9.1543 9.1819 22.9062
angles: 90.32 89.79 119.53
Closest atoms and distances in Å follow each position.
Sites, in units of the cell vectors:
1 O 0.4695 0.2999 0.0272  1 Si 1.72, 1 Ta 1.92
2 O 0.8614 0.3493 0.2485  1 Si 1.62
3 Si 0.6961 0.9900 0.7505  4 O 1.57-1.71
4 O 0.6781 0.5388 0.2411  1 P 1.52
5 O 0.1662 0.1990 0.6956  1 P 1.60
6 Na 0.3032 0.9599 0.0788  4 O 2.31-2.56
7 O 0.8844 0.5183 0.1411  1 Si 1.60
8 Ta 0.3342 0.6655 0.3149  6 O 1.95-2.13
9 O 0.4709 0.3446 0.1412  1 Si 1.57
10 P 0.6992 0.7128 0.2483  4 O 1.52-1.59
11 O 0.2088 0.0035 0.3076  1 P 1.52
12 P 0.3464 0.3789 0.4143  4 O 1.51-1.58
13 O 0.4742 0.1689 0.5268  1 Si 1.72
14 O 0.4970 0.8555 0.3632  1 Si 1.71
15 O 0.8517 0.4789 0.4229  1 Si 1.67
16 O 0.8359 0.2962 0.5265  1 P 1.60
17 O 0.1392 0.5005 0.8655  1 P 1.59
18 Si 0.9547 0.6321 0.0840  4 O 1.60-1.71
19 Na 0.3213 0.0167 0.4167  4 O 2.40-2.68
20 Na 0.6729 0.3230 0.8301  5 O 2.47-2.72
21 Si 0.3636 0.3243 0.0852  4 O 1.57-1.72
22 O 0.2111 0.1889 0.8034  1 P 1.51
23 P 0.0141 0.7137 0.7522  4 O 1.51-1.62
24 Y 0.6700 0.3380 0.6873  6 O 2.10-2.27
25 O 0.9988 0.7948 0.8076  1 P 1.51
26 Ta 0.6574 0.3311 0.9807  5 O 1.92-2.07
27 Na 0.6467 0.9664 0.5817  3 O 2.29-2.51
28 O 0.6988 0.5304 0.5271  1 Si 1.72
29 O 0.4644 0.1305 0.2448  1 P 1.51
30 O 0.1411 0.6338 0.3612  1 Si 1.73
31 O 0.5510 0.6789 0.9706  1 P 1.51
32 O 0.6300 0.4827 0.9205  1 P 1.58
33 O 0.8039 0.0106 0.8064  1 Si 1.57
34 O 0.0231 0.8275 0.4116  1 Si 1.61
35 O 0.8313 0.5253 0.0259  1 Si 1.71
36 O 0.9943 0.2095 0.3121  1 Si 1.59
37 O 0.2042 0.1988 0.4056  1 P 1.53
38 P 0.6235 0.6510 0.9153  4 O 1.51-1.59
39 Na 0.9974 0.0025 0.9944  6 O 2.58-2.75
40 Na 0.9858 0.6824 0.9165  3 O 2.33-2.43
41 O 0.1475 0.6707 0.0771  1 Si 1.63
42 O 0.6464 0.1355 0.7479  1 Si 1.61
43 O 0.3612 0.8542 0.8614  1 Si 1.73, 1 Ta 1.93
44 Y 0.9976 0.0100 0.8529  6 O 2.07-2.30
45 Si 0.3666 0.0443 0.5850  4 O 1.60-1.72
46 O 0.4815 0.1170 0.6416  1 Si 1.60
47 O 0.8220 0.0186 0.4149  1 Si 1.62
48 Ta 0.3417 0.6707 0.8144  6 O 1.93-2.13
49 O 0.8587 0.8190 0.5906  1 Si 1.70
50 O 0.3142 0.4685 0.0792  1 Si 1.60
51 O 0.8023 0.9758 0.6913  1 Si 1.71
52 O 0.2881 0.8140 0.2544  1 P 1.59
53 O 0.9645 0.8179 0.0928  1 Si 1.68
54 O 0.5282 0.6813 0.5818  1 Si 1.60
55 O 0.1804 0.1413 0.0912  1 Si 1.70
56 O 0.6226 0.1516 0.4214  1 Si 1.68
57 Ta 0.9991 0.0013 0.1480  6 O 1.96-2.12
58 Y 0.9880 0.9954 0.3507  6 O 2.13-2.31
59 O 0.5211 0.1510 0.9241  1 Si 1.67
60 P 0.6787 0.0481 0.0820  4 O 1.51-1.59
61 Si 0.3438 0.9678 0.9189  4 O 1.60-1.73
62 O 0.8694 0.5368 0.7455  1 P 1.51
63 O 0.8068 0.7846 0.3029  1 P 1.53
64 O 0.0212 0.1911 0.1948  1 Si 1.72
65 O 0.1926 0.4917 0.2561  1 Si 1.69
66 O 0.6466 0.1206 0.1366  1 P 1.51
67 O 0.3161 0.8643 0.9777  1 Si 1.60
68 O 0.5063 0.6348 0.8616  1 P 1.59
69 O 0.8000 0.8308 0.1950  1 P 1.59
70 O 0.3659 0.4959 0.3608  1 P 1.58
71 Y 0.3402 0.6646 0.5178  6 O 2.14-2.29
72 O 0.2896 0.4703 0.7568  1 P 1.56
73 O 0.9557 0.1514 0.5879  1 P 1.58
74 Na 0.6657 0.3291 0.3283  6 O 2.50-2.75
75 O 0.7042 0.1688 0.0286  1 P 1.59
76 P 0.9530 0.3211 0.5818  4 O 1.51-1.60
77 O 0.1862 0.7106 0.7553  1 P 1.59
78 Na 0.9739 0.3016 0.4109  3 O 2.27-2.45
79 O 0.5137 0.3729 0.4214  1 P 1.57
80 Na 0.9875 0.9867 0.4948  5 O 2.49-2.76
81 O 0.1764 0.9820 0.9111  1 Si 1.61
82 O 0.5105 0.8072 0.7576  1 Si 1.71
83 P 0.0329 0.3811 0.9178  4 O 1.52-1.59
84 Na 0.3649 0.0111 0.7455  2 O 2.25-2.43
85 O 0.8492 0.0454 0.0880  1 P 1.58
86 Na 0.0380 0.6938 0.5790  4 O 2.30-2.56
87 O 0.3045 0.4462 0.4683  1 P 1.51
88 Na 0.9898 0.6307 0.2449  2 O 2.25-2.41
89 Ta 0.6640 0.3377 0.4809  6 O 1.94-2.08
90 Ta 0.9980 0.0006 0.6479  6 O 1.96-2.12
91 Si 0.6756 0.6351 0.5855  4 O 1.57-1.72
92 O 0.1246 0.4544 0.9751  1 P 1.52
93 O 0.3267 0.8519 0.5781  1 Si 1.63
94 O 0.6595 0.5295 0.6413  1 Si 1.57
********

**Done**
21 Si 0.3636 0.3243 0.0852  4 O 1.57-1.72
22 O 0.2111 0.1889 0.8034  1 P 1.51
23 P 0.0141 0.7137 0.7522  4 O 1.51-1.62
24 Y 0.6700 0.3380 0.6873  6 O 2.10-2.27
25 O 0.9988 0.7948 0.8076  1 P 1.51
26 Ta 0.6574 0.3311 0.9807  5 O 1.92-2.07
27 Na 0.6467 0.9664 0.5817  3 O 2.29-2.51
28 O 0.6988 0.5304 0.5271  1 Si 1.72
29 O 0.4644 0.1305 0.2448  1 P 1.51
30 O 0.1411 0.6338 0.3612  1 Si 1.73
31 O 0.5510 0.6789 0.9706  1 P 1.51
32 O 0.6300 0.4827 0.9205  1 P 1.58
33 O 0.8039 0.0106 0.8064  1 Si 1.57
34 O 0.0231 0.8275 0.4116  1 Si 1.61
35 O 0.8313 0.5253 0.0259  1 Si 1.71
36 O 0.9943 0.2095 0.3121  1 Si 1.59
37 O 0.2042 0.1988 0.4056  1 P 1.53
38 P 0.6235 0.6510 0.9153  4 O 1.51-1.59
39 Na 0.9974 0.0025 0.9944  6 O 2.58-2.75
40 Na 0.9858 0.6824 0.9165  3 O 2.33-2.43
41 O 0.1475 0.6707 0.0771  1 Si 1.63
42 O 0.6464 0.1355 0.7479  1 Si 1.61
43 O 0.3612 0.8542 0.8614  1 Si 1.73, 1 Ta 1.93
44 Y 0.9976 0.0100 0.8529  6 O 2.07-2.30
45 Si 0.3666 0.0443 0.5850  4 O 1.60-1.72
46 O 0.4815 0.1170 0.6416  1 Si 1.60
47 O 0.8220 0.0186 0.4149  1 Si 1.62
48 Ta 0.3417 0.6707 0.8144  6 O 1.93-2.13
49 O 0.8587 0.8190 0.5906  1 Si 1.70
50 O 0.3142 0.4685 0.0792  1 Si 1.60
51 O 0.8023 0.9758 0.6913  1 Si 1.71
52 O 0.2881 0.8140 0.2544  1 P 1.59
53 O 0.9645 0.8179 0.0928  1 Si 1.68
54 O 0.5282 0.6813 0.5818  1 Si 1.60
55 O 0.1804 0.1413 0.0912  1 Si 1.70
56 O 0.6226 0.1516 0.4214  1 Si 1.68
57 Ta 0.9991 0.0013 0.1480  6 O 1.96-2.12
58 Y 0.9880 0.9954 0.3507  6 O 2.13-2.31
59 O 0.5211 0.1510 0.9241  1 Si 1.67
60 P 0.6787 0.0481 0.0820  4 O 1.51-1.59
61 Si 0.3438 0.9678 0.9189  4 O 1.60-1.73
62 O 0.8694 0.5368 0.7455  1 P 1.51
63 O 0.8068 0.7846 0.3029  1 P 1.53
64 O 0.0212 0.1911 0.1948  1 Si 1.72
65 O 0.1926 0.4917 0.2561  1 Si 1.69
66 O 0.6466 0.1206 0.1366  1 P 1.51
67 O 0.3161 0.8643 0.9777  1 Si 1.60
68 O 0.5063 0.6348 0.8616  1 P 1.59
69 O 0.8000 0.8308 0.1950  1 P 1.59
70 O 0.3659 0.4959 0.3608  1 P 1.58
71 Y 0.3402 0.6646 0.5178  6 O 2.14-2.29
72 O 0.2896 0.4703 0.7568  1 P 1.56
73 O 0.9557 0.1514 0.5879  1 P 1.58
74 Na 0.6657 0.3291 0.3283  6 O 2.50-2.75
75 O 0.7042 0.1688 0.0286  1 P 1.59
76 P 0.9530 0.3211 0.5818  4 O 1.51-1.60
77 O 0.1862 0.7106 0.7553  1 P 1.59
78 Na 0.9739 0.3016 0.4109  3 O 2.27-2.45
79 O 0.5137 0.3729 0.4214  1 P 1.57
80 Na 0.9875 0.9867 0.4948  5 O 2.49-2.76
81 O 0.1764 0.9820 0.9111  1 Si 1.61
82 O 0.5105 0.8072 0.7576  1 Si 1.71
83 P 0.0329 0.3811 0.9178  4 O 1.52-1.59
84 Na 0.3649 0.0111 0.7455  2 O 2.25-2.43
85 O 0.8492 0.0454 0.0880  1 P 1.58
86 Na 0.0380 0.6938 0.5790  4 O 2.30-2.56
87 O 0.3045 0.4462 0.4683  1 P 1.51
88 Na 0.9898 0.6307 0.2449  2 O 2.25-2.41
89 Ta 0.6640 0.3377 0.4809  6 O 1.94-2.08
90 Ta 0.9980 0.0006 0.6479  6 O 1.96-2.12
91 Si 0.6756 0.6351 0.5855  4 O 1.57-1.72
92 O 0.1246 0.4544 0.9751  1 P 1.52
93 O 0.3267 0.8519 0.5781  1 Si 1.63
94 O 0.6595 0.5295 0.6413  1 Si 1.57